### Entries
(1)
Structure and calculated powder diffractogram of Er2TeO2 (a GGA-PBE-relaxed structure; Cu Kα).
Intensities are scaled so that the largest is 100.

Atomic structure:
a b c (Å): 3.9015 3.9015 12.4122
angles (deg): 90.00 90.00 90.00
Element x y z (fractional)
Er: 0.0000 0.0000 0.1636
Er: 0.0000 0.0000 0.8364
Er: 0.5000 0.5000 0.3364
Er: 0.5000 0.5000 0.6636
Te: 0.0000 0.0000 0.5000
Te: 0.5000 0.5000 0.0000
O: 0.0000 0.5000 0.2500
O: 0.0000 0.5000 0.7500
O: 0.5000 0.0000 0.2500
O: 0.5000 0.0000 0.7500

Main lines, sorted by position (2θ from 10° to 90°):
- 2θ = 31.5°, I 100
- 2θ = 32.5°, I 40
- 2θ = 43.8°, I 9
- 2θ = 46.6°, I 19
- 2θ = 55.5°, I 23
- 2θ = 57.3°, I 37
- 2θ = 65.8°, I 11
- 2θ = 72.7°, I 9

(2)
Structure and calculated powder diffractogram of Er2Te5O13 (a GGA-PBE-relaxed structure; Cu Kα).
Intensities are scaled so that the largest is 100.

Atomic structure:
a b c (Å): 6.9828 8.7408 10.7113
angles (deg): 89.21 87.17 74.79
Element x y z (fractional)
Er: 0.0017 0.2614 0.2604
Er: 0.4475 0.4719 0.3206
Er: 0.5525 0.5281 0.6794
Er: 0.9983 0.7386 0.7396
Te: 0.1226 0.3503 0.6086
Te: 0.1570 0.8034 0.1403
Te: 0.2734 0.3937 0.9868
Te: 0.2896 0.8762 0.4764
Te: 0.4368 0.9022 0.8016
Te: 0.5632 0.0978 0.1984
Te: 0.7104 0.1238 0.5236
Te: 0.7266 0.6063 0.0132
Te: 0.8430 0.1966 0.8597
Te: 0.8774 0.6497 0.3914
O: 0.0444 0.3493 0.0665
O: 0.0566 0.8192 0.5395
O: 0.0653 0.0179 0.1886
O: 0.0667 0.2648 0.7780
O: 0.1257 0.4899 0.3934
O: 0.2352 0.4966 0.6881
O: 0.3132 0.7350 0.7856
O: 0.3279 0.2260 0.2767
O: 0.3314 0.7402 0.2735
O: 0.3386 0.5128 0.1185
O: 0.3471 0.9841 0.6248
O: 0.4637 0.1930 0.0185
O: 0.4662 0.6695 0.5000
O: 0.5338 0.3305 0.5000
O: 0.5363 0.8070 0.9815
O: 0.6529 0.0159 0.3752
O: 0.6614 0.4872 0.8815
O: 0.6686 0.2598 0.7265
O: 0.6721 0.7740 0.7233
O: 0.6868 0.2650 0.2144
O: 0.7648 0.5034 0.3119
O: 0.8743 0.5101 0.6066
O: 0.9333 0.7352 0.2220
O: 0.9347 0.9821 0.8114
O: 0.9434 0.1808 0.4605
O: 0.9556 0.6507 0.9335

Main lines, sorted by position (2θ from 10° to 90°):
- 2θ = 27.1°, I 100
- 2θ = 27.5°, I 58
- 2θ = 27.8°, I 47
- 2θ = 30.7°, I 33
- 2θ = 32.0°, I 27
- 2θ = 32.4°, I 24
- 2θ = 45.6°, I 14
- 2θ = 54.7°, I 14

(3)
Structure and calculated powder diffractogram of Er10Ti6O27 (a GGA-PBE-relaxed structure; Cu Kα).
Intensities are scaled so that the largest is 100.

Atomic structure:
a b c (Å): 7.4120 7.4120 12.1258
angles (deg): 108.82 108.82 61.39
Element x y z (fractional)
Er: 0.0000 0.0000 0.0000
Er: 0.0157 0.4876 0.5384
Er: 0.2547 0.7395 0.2712
Er: 0.2594 0.2594 0.2746
Er: 0.2834 0.7261 0.7671
Er: 0.4876 0.0157 0.5384
Er: 0.7261 0.2834 0.7671
Er: 0.7375 0.7375 0.7633
Er: 0.7395 0.2547 0.2712
Er: 0.7457 0.7457 0.2700
Ti: 0.0077 0.0077 0.5236
Ti: 0.0215 0.5103 0.0205
Ti: 0.2659 0.2659 0.8004
Ti: 0.5075 0.5075 0.0099
Ti: 0.5103 0.0215 0.0205
Ti: 0.5139 0.5139 0.5041
O: 0.0192 0.5714 0.1809
O: 0.0493 0.6238 0.7496
O: 0.0983 0.7711 0.5853
O: 0.1370 0.7284 0.0738
O: 0.1804 0.1804 0.6192
O: 0.1807 0.1807 0.0694
O: 0.3225 0.7907 0.4735
O: 0.3391 0.3391 0.9864
O: 0.3540 0.3540 0.4906
O: 0.3653 0.9985 0.8343
O: 0.3904 0.7775 0.9763
O: 0.4220 0.9520 0.3360
O: 0.4251 0.4251 0.8273
O: 0.4388 0.4388 0.3206
O: 0.5528 0.5528 0.6820
O: 0.5621 0.5621 0.1777
O: 0.5714 0.0192 0.1809
O: 0.6238 0.0493 0.7496
O: 0.6994 0.6994 0.5643
O: 0.7284 0.1370 0.0738
O: 0.7621 0.7621 0.9579
O: 0.7711 0.0983 0.5853
O: 0.7775 0.3904 0.9763
O: 0.7907 0.3225 0.4735
O: 0.9420 0.9420 0.3516
O: 0.9520 0.4220 0.3360
O: 0.9985 0.3653 0.8343

Main lines, sorted by position (2θ from 10° to 90°):
- 2θ = 29.3°, I 100
- 2θ = 30.3°, I 45
- 2θ = 31.8°, I 41
- 2θ = 34.8°, I 19
- 2θ = 35.1°, I 40
- 2θ = 48.1°, I 18
- 2θ = 49.2°, I 30
- 2θ = 51.3°, I 24

(4)
Structure and calculated powder diffractogram of Er2Ti2O7 (a GGA-PBE-relaxed structure; Cu Kα).
Intensities are scaled so that the largest is 100.

Atomic structure:
a b c (Å): 7.1549 7.1549 7.1549
angles (deg): 60.00 60.00 60.00
Element x y z (fractional)
Er: 0.0000 0.0000 0.0000
Er: 0.0000 0.0000 0.5000

### Request
Please count the lines further up that contain the word "Ti" and give the number alone.

### Here it is
6